We gratefully acknowledge and thank the author, Akbar S. Ahmed for permission to reproduce these excerpts. This article is consists of four subheadings from his book 'Living Islam.'

(i)   The Muslim Family
(ii)  Arranged Marriages
(iii) Muslim dress and the Hijab
(iv) Polygamy in Islam

For more articles by the same distinguished author on this web site:

Sufism: The Muslim Universal Way
The Problems of Muslim Minorities 
Islam in the Age of the Western Media
Muslims in the West

The Muslim family

The central institution of Muslim society is the family. In the West, the Muslim family structure is often seen as oppressive and backward, an obstacle to modernity. For their part, many Muslims are concerned about the frequent breakdown of marriages in the West, and worry that their own societies may be heading along a similar route. Muslim families today have to cope with the problems of rapid urbanization, and the pressures of living in cities and in cramped accommodation. Although there has been an alarming increase in the divorce rate among Muslims, none the less Muslim marriages tend to be far more stable than Western ones, because they are based on an entirely different set of assumptions. 

Molecular data that have nothing to do with the text:
Entry 1:
# C19H22BrNSm

C19H22BrNSm as an isolated structure at a distorted geometry (ωB97M-V/def2-TZVPD, the OMol25 dataset).

XYZ file:
```
44
Properties=species:S:1:pos:R:3
C -1.20762 -0.77550 -1.86614
C -1.26576 -1.79548 -0.85284
C -2.00333 -1.25553 0.26952
H -0.75177 -2.75219 -0.87075
C -2.40098 0.09485 -0.06137
C -1.89692 0.39712 -1.37454
H -1.97146 1.36340 -1.86728
H -0.68790 -0.86077 -2.81541
H -2.10844 -1.72196 1.24126
H -2.89984 0.78983 0.60566
Sm -0.02535 0.01428 0.22286
Br 0.84016 -1.91091 1.62882
C 2.03338 1.18967 0.35524
C 1.19331 1.97074 -0.52349
C 1.02132 1.20970 -1.74678
H 0.68186 2.89679 -0.26270
C 1.73338 -0.03179 -1.61409
C 2.38054 -0.03871 -0.33092
H 2.94268 -0.86267 0.09827
H 2.24968 1.41151 1.39231
H 0.39968 1.51321 -2.58571
H 1.75180 -0.85270 -2.32666
C 2.30494 3.22130 5.41456
N 2.43620 1.88267 4.86766
C 2.72210 0.80448 5.80302
C 1.63593 1.53369 3.66022
C 0.17254 1.12387 3.80909
C -0.39557 1.28040 5.08364
C -1.70013 0.89072 5.37815
C -2.45516 0.33978 4.38191
C -1.87788 0.19178 3.08665
C -0.60190 0.57460 2.78498
H 3.10592 3.42464 6.13768
H 1.33587 3.37153 5.94647
H 2.36543 3.98025 4.62232
H 1.84053 0.55364 6.43604
H 3.02189 -0.11102 5.27524
H 3.53974 1.08472 6.48011
H 1.66459 2.41490 2.98959
H 2.14172 0.65435 3.22918
H 0.14655 1.70194 5.94264
H -2.10593 1.02036 6.37362
H -3.47733 0.03144 4.57724
H -2.63967 -0.24764 2.41635
```

* <S²>: 8.76
* multiplicity: 6
* HOMO level (spin up / spin down): -0.14254 / -0.14264 Ha
* DFT total energy: -109495.9062 eV
* F_max: 0.0683 Eh/bohr
* orbital gap (spin up / spin down): 6.498 / 6.501 eV
* net charge: -1


Entry 2:
# C19H22CaN4O3S

C19H22CaN4O3S as an isolated structure at a distorted geometry (ωB97M-V/def2-TZVPD, the OMol25 dataset).

XYZ file:
```
50
Properties=species:S:1:pos:R:3
Ca -0.29145 -0.00478 0.34706
C -1.22583 -1.03369 -5.44640
C -2.00553 -2.34449 -5.33027
C -3.41001 -2.12102 -5.91862
C -1.26851 -3.41844 -6.15043
C -2.13812 -2.82138 -3.89332
C -2.85547 -4.00929 -3.63603
C -3.01771 -4.51847 -2.37006
C -2.46281 -3.80923 -1.31000
S -2.52051 -4.17135 0.37561
C -1.62813 -2.72851 0.70581
N -1.29945 -2.02642 -0.35541
C -1.75708 -2.61715 -1.52452
C -1.58633 -2.13759 -2.82540
C -1.27707 -2.35595 2.07880
C -1.60795 -3.18526 3.16050
C -1.24047 -2.84415 4.44927
C -0.52400 -1.68417 4.69760
C -0.18849 -0.83710 3.64088
C -0.59371 -1.18512 2.38080
H -1.17731 -0.74759 -6.49625
H -0.20090 -1.14244 -5.08525
H -1.72284 -0.22485 -4.90587
H -3.32439 -1.76136 -6.94398
H -3.95177 -1.37270 -5.33731
H -4.00218 -3.03491 -5.93647
H -1.15973 -3.08160 -7.18137
H -1.80583 -4.36598 -6.16381
H -0.27246 -3.59436 -5.74052
H -3.29639 -4.54391 -4.46532
H -3.56113 -5.43752 -2.19883
H -1.01559 -1.23449 -2.98121
H -2.14763 -4.10482 2.97525
H -1.50724 -3.49327 5.27246
H -0.21760 -1.41464 5.69883
H 0.37277 0.06306 3.85949
C 1.81025 2.41316 3.13142
O 1.93697 3.09941 1.86636
C 1.68717 2.43975 0.76945
O 1.39981 1.21908 0.70832
N 1.81121 3.28108 -0.28219
N 1.80406 2.85220 -1.58666
H 2.30376 3.04619 3.85958

These assumptions are founded in the Muslim notion of the cosmos. As there is order and balance in the universe, there is a similar natural pattern in society which is reflected in the Muslim household. In a conceptual sense, one mirrors the other. Thus each individual member plays an equally significant role in his or her own capacity which is related to the other members of the family. Each person is special and yet different. It is the difference that ensures the balance and harmony. 

The proper behaviour of all the members of the family is constantly emphasized in the Qur'an and Hadith. Ideal behaviour encourages dignity and modesty in the family. The father, the mother, the children and the elders all have a positive and defined role to play. In each case the model of ideal behaviour comes from early Islam. The Prophet was both the ideal son and later the ideal husband and father. The women of his household - like Khadijah and Fatimah - provide the ideal for Muslim women.

For Muslims, then, the family is the central institution; it is at the centre both of theology and sociology: 'The family is a divinely-inspired institution that came into existence with the creation of man. The human race is a product of this institution and not the other way round' (Ahmad 1974: 13). Not surprisingly, the most intricate rules and regulations guide family life. About a third of the legal injunctions in the Qur'an deal with family matters. These aim to produce the attitudes and behaviour patterns that Islam wants to foster in society. And they cover different generations: a Muslim family is an extended family, normally with three or four generations within its circle.

Islam is the religion of equality. This principle is never more explicit than in the Quranic instructions to men and women on how to become good Muslims, 'If any do deeds of righteousness - be they male or female - and V have faith, they will enter Heaven' (Surah 4: verse 124). In Surah 33, verse 35, the equality of men and women, the need for both to believe, to speak the truth, to be humble, to give alms, to fast and to be modest, is emphasized by constant repetition of the words 'men . . . and women . . .' 

Even in the controversial area of divorce it is necessary to point out that both men and women have the right to divorce. The first divorce initiated by a woman was granted by the Prophet himself on grounds of incompatibility. This gives women tremendous leverage in society.

At the same time, men have duties towards the women of the family. A wife must be maintained by her husband, even if she has means other own. This practice is used to explain the inequality of inheritance - a man receives a larger share of a family legacy than does a woman. 

Muslims are known to be extremely affectionate towards their offspring. Little girls and boys are constantly spoilt, sometimes to the point where it is harmful to them. In particular grandparents dote on grandchildren. As the young are loved, the aged are revered. With age people gain in status and influence. It is the duty of every child to care for parents: 'Show kindness to parents . . . Lower to them the wing of humility out of tenderness' (Surah 17: verses 23-4). 

Mothers in particular evoke a very strong emotional response of affection among Muslims. Heaven, the Prophet had said, lies beneath the feet of the mother. The following lines were dedicated by me as a young man to my mother: 

When I walk at night alone, 
in the deep wadis of her sobs 
or when I know that each time I drive fast 
or delay reply to her letter 
when I know that at midnight 
she sits up praying to her God 
to keep me warm and whole, 
when I know that she will still bless me 
though I give her eyes cause to tears 
when I know that all my warts and ways 
will turn to gold at her simple touch 
then I see through her the God she sits rotating her beads to 
and then I know that her God 
will always be there for me to reach out and touch.

Arranged marriages

As most young Western couples select their own marriage partners, the arranged marriage appears odd and outdated to them. Although most Muslim marriages are arranged even today this does not mean that marriages are forced upon young people. What it does mean is that parents and senior relatives often discuss various possibilities, yet all the while consulting the person involved. This allows them, over a period of time, to assess the weaknesses and strengths of the future partner. In Islam both partners must clearly and before witnesses agree to be married; no one can be coerced into marriage. Usually marriages take place within the extended family or even the same ethnic or tribal group. It is difficult in such marriages for husbands to be mean or cruel to their wives because husband and wife are related and such behaviour would cause adverse comment in the family. After all the uncles and aunts of the wife would also be the uncles and aunts of the husband. Arranged marriages are perhaps one of the reasons why Muslim marriages are so stable. There are few comparative statistics but many young Muslims even in the West enthusiastically support the notion of arranged marriages, particularly in the light of the high statistics of divorce in the West. 

Are arranged marriages still viable among Muslims living in Western societies or highly Westernized families in Muslim cities? We already hear of more divorce cases in this generation than in the previous one. Is this a trend? If so, will the trend spread to the more traditional rural areas also? Does it indicate a breakdown of the arranged marriage system? These are questions that need to be addressed by all Muslims today. 

Muslim dress and the hijab

Islamic clothing affects Islamic thinking and vice versa. As the Qur'an teaches modesty for both men and women (Surah 24: verses 30-1) clothes are meant to emphasize modesty and dignity both in men and in women. Thus clothes that either suggest the contours of the body or expose it are avoided except, perhaps, among some members of the fashionable, the young or those who live in cities. 

Modesty is also behaviour, speech and conduct. It is in this context that respectable men and women wear clothes that appear formal and dignified. They need to cover all parts of their body. Flowing robes are probably the best method to do so. To see a sheikh or an ayatollah in his robes is to see a person of dignity, learning, authority and grace in his own society. Loose clothes are worn because they allow people to say prayers which include prostration, bending and sitting. It is not easy to do these things in tight-fitting clothes. Loose clothes are also worn because of dietary patterns. Most Muslims, because they are often up early at dawn for prayers, tend to rest in the afternoon; for most the afternoon meal is usually heavy, and the midday sun makes work difficult. There is also the forces of tradition. People often tend to wear what the previous generation wore before them. It does not mean that there is no change. Even in the rural areas of Pakistan, men and women once wore pyjamas or shalwars which ran literally into yards and yards of cloth. Now the shalwar is much tighter and neater, although to outsiders it looks very baggy. 

Muslim women appear to be divided on the subject of the veil. The covering of the face by a veil has never been universal in the Muslim world. Country women go to the fields without a veil, women in some parts of the Muslim world have not adopted it, others during the last decades have discarded it, yet others rediscovered it. But the Quranic injunction to modesty, however it is applied, cannot be set aside. Its interpretation has varied, and does vary, but its importance is basic. One interpretation of what constitutes modesty is the long skirt and headscarf worn by many young women - a stricter interpretation than that of some of their mothers. The hijab or veil presents us with some useful sociological insights into Muslim society. Its source as an Islamic dress is debated. 'The true veil is in the eyes of the men' is a saying of the Prophet. Tribal society, as Arabia was in the seventh century when Islam came to it, would have two or three distinct features regarding women which we can reflect on with a degree of accuracy. Women would have been far more free than we can imagine. This is a tribal characteristic. People are related on the genealogical charter and everyone knows everyone else. Molesting a woman or raping her would mean committing virtual incest. 

Although the notions of female honour and sexual conduct are highly developed in the Muslim tribal areas, there is no concept of the veil, which begins to appear once you come nearer the towns. Indeed a woman in the tribal areas will come up and shake hands and say, 'How are you, brother, would you like a cup of tea?' She has the kind of confidence which would be difficult to find in her better-educated sister in the city. Although the hijab, chador or even the pardah are not in early Islam according to some scholars, in time they became associated with Islam. These customs were assimilated from the conquered Persian and Byzantine societies and were considered to reflect the Quranic spirit. It may well be that seclusion and veiling reflected the upper-class, urban women who would protect themselves from the gaze of those in the bazaars and in the fields. Over the centuries, however, this spread to other parts of society. In certain groups it had unfortunate consequences. Women in towns and cities were often confined to small houses with limited social contacts and therefore barred from community life. 

Professor Nur Veergin, Professor of Sociology in Istanbul, although intensely supportive of Islam, is scathing about the long black chador or veil, even blaming it on Christianity. She explained her argument to me: 

"I must say that these categories have been influenced by Christianity. For instance the veil. It's claimed that horrible black chador that one sees now more and more in Istanbul streets is something to do with Islam, that has nothing to do with Turkish Islam anyway. It comes from Byzant [Christianity], it comes from Iran, but it certainly doesn't derive, doesn't stem from the Turkish national culture or the Islamic culture of Turkey." 

The hijab in the 1980s and 1990s has become a fashionable and recognizable symbol of Muslim identity among young girls. It must be emphasized that it is not worn out of fear or pressure from the home. Many girls wear this in spite of opposition at home. It is a neat way of saying: 'this is where I stand and I am proud of it.'

Let us end this chapter by emphasizing a crucial point that must be borne in mind when considering Muslim responses to modernity. Western commentators commonly make the assumption that once Muslims are set on the path to democracy (and modernity) they will become more like 'us' and, as in most of the West, eventually separate the religious from the secular in their lives. Yet Muslims are either Muslims or they are not; there is no halfway house. They cannot just take bits and pieces of Islam and still remain Muslims. If they do, they become something completely different. Evidence of this is most explicit where Muslims live as a minority in non-Muslim states, and we shall discuss this in the next chapter. 

Polygamy in Islam

There is another idea about family life that is difficult to lay to rest in the West. It is of Islam as a man's paradise with every man possessing at least four wives. This is, of course, a stereotype and not a real image. In my anthropological fieldwork in Pakistan which cast a wide net over an entire section of a major tribal group (the Frontier Pukhtuns) I discovered that only 0.02 per cent of men were polygamous (Ahmed 1980). Personally, too, apart from one or two people in the older generation, I know of no friend or acquaintance who has more than one wife. The vast majority of men are monogamous. 

In Islam it is always important to look for the spirit behind the word or' law - whether it is in criminal punishment or polygamy. The fact that a man is allowed in extraordinary circumstances to marry up to four wives must be seen in this context. It is quite clear that the ideal is one wife, and the Qur'an emphasizes and indeed advocates it. However, there are situations in times of war or famine or social upheaval when it is better that a woman is safely' and honourably married than has to fend for herself as a destitute or even prostitute her body. It is therefore the spirit that must be understood, not the letter of the law. 

The Qur'an has clearly given permission for men to marry more than once, and in certain circumstances this is a social necessity: "If you are afraid that you will not treat orphans justly, then marry such women that may seem good to you, two, three or four" (Surah 4: verse 3). But in the next line the Qur'an lays down a clause: "If you think you will not act justly, then one." This is a stringent condition making it difficult for a person to marry more than once. Indeed the Qur'an itself says tha polygamy is not possible:" "You will never manage to deal equitably with women no matter how hard you try" (Surah 4: verse 129). The true spirit of the Qur'an thus appears to be of monogamy, because marriage to more than one wife is contingent on absolute equality and impartiality between wives. 

Nonetheless, Muslims are not apologetic or defensive about polygamy. A liberated, female Indian Muslim writer makes the following point while supporting polygamy in Islam: 

Unrelated to this text: records of molecules >
<<<
[1]
19
Properties=species:S:1:pos:R:3:forces:R:3 method="wB97M-V/def2-TZVPD" orbital_gap_ev="8.217 / 7.193" e_homo_ev="-25.02 / -26.18" charge=+4 s2=15.776 spin_multiplicity=8
Co -0.5591 -0.4615 -2.9630 -3.0 0.9 4.1
Er -0.0296 -0.0688 -0.0150 -3.5 -6.5 -2.4
Cl -1.2484 -1.7820 -1.0828 -0.7 -2.0 -1.6
Cl -1.1456 1.4258 -1.5818 0.1 0.5 -0.2
C 0.9800 1.4497 0.7310 8.1 12.1 5.8
C -0.1035 -1.9341 -3.9010 3.4 -11.2 -7.0
C -0.0239 0.6156 -4.3127 4.0 8.2 -10.0
O 1.5762 2.3324 1.1571 -2.4 -3.5 -1.7
O 0.2095 -2.9040 -4.5163 -2.3 7.1 4.4
O 0.3414 1.3214 -5.1990 -2.7 -5.2 6.4
N -2.5378 -1.2105 3.4558 1.6 -2.0 -0.8
C -1.8380 -2.4141 3.2782 -3.3 2.3 2.6
C -0.9890 -2.2453 2.2320 1.2 2.7 -2.7
N -1.1431 -0.9456 1.7448 0.2 -1.3 1.1
C -2.0819 -0.3598 2.5030 0.0 -1.5 1.0
H -3.2458 -1.0283 4.1711 -0.1 0.0 0.1
H -1.9816 -3.2630 3.8806 -0.3 -1.1 0.9
H -0.3020 -2.9463 1.8174 0.4 -0.5 -0.2
H -2.4184 0.6354 2.3829 -0.5 1.0 0.0

[2]
17
Properties=species:S:1:pos:R:3:forces:R:3 method="wB97M-V/def2-TZVPD" orbital_gap_ev=6.632 e_homo_ev=-2.31 charge=-2
C 2.0457 0.7887 1.1339 -1.3 0.7 -0.5
C 2.7029 -1.5035 -0.5838 -0.8 4.1 -3.9
C -0.0996 -0.4144 0.4803 -1.0 1.1 1.8
C -0.9805 -0.4062 -0.7404 -0.4 0.8 0.1
C 0.6646 0.8914 0.3932 1.6 -0.8 0.8
C 0.0427 1.8634 -0.2606 0.6 -0.5 0.3
O 2.7072 -0.2459 0.8151 0.6 0.1 0.6
O 2.9801 -2.4769 -0.0749 1.0 -4.2 2.8
O 2.3010 1.6122 2.0079 0.2 -0.1 -0.2
O 2.5100 -0.8987 -1.6008 -0.3 0.1 0.7
S -1.5203 1.3357 -0.8817 -0.7 0.7 -0.2
Cl -11.6738 -0.9427 -0.0004 -0.1 0.0 0.0
Cl 0.6974 3.4483 -0.5471 -0.4 -0.3 0.0
H -0.6915 -0.3638 1.4793 0.5 -0.1 -1.5
H 0.5458 -1.2686 0.6117 0.2 -0.2 -0.4
H -0.3152 -0.4261 -1.6285 -0.7 -1.2 0.3
H -1.9165 -0.9928 -0.6033 0.9 0.0 -0.9

[3]
17
Properties=species:S:1:pos:R:3:forces:R:3 method="wB97M-V/def2-TZVPD" orbital_gap_ev=8.853 e_homo_ev=-10.70 charge=0
C -1.9720 -0.0430 -0.7267 -1.3 0.0 2.6
C -1.0834 -0.2553 0.5872 1.1 3.5 -2.6
O -1.8217 -0.0080 1.6822 -1.6 -0.7 1.0
N -0.5928 -1.5358 0.5296 2.4 -2.7 -0.8
N 0.6121 -1.5991 0.1417 -1.7 -0.5 0.4
C 1.1693 -0.2948 -0.0424 -4.2 0.3 2.0
C 2.5691 -0.3666 -0.3835 2.2 2.8 -0.8
F 3.3253 -0.2764 0.7055 0.3 -0.6 0.9
F 2.8497 -1.4498 -1.0415 0.4 -1.0 -0.5
F 3.0026 0.7023 -1.1328 -0.8 -0.4 -0.1
C 0.2255 0.6172 0.3913 1.1 -2.0 -1.5
C 0.4037 2.0039 0.2886 -0.1 1.0 0.6
N 0.6141 3.1362 0.3313 -0.2 -0.3 -0.2
H -1.4856 -0.1967 -1.6290 1.0 -0.5 -1.6
H -2.4190 0.9420 -0.6838 0.4 0.5 0.0
H -2.8564 -0.6918 -0.6034 0.6 -0.2 -0.3
H -2.5406 -0.6843 1.5857 0.5 0.9 0.8

[4]
15
Properties=species:S:1:pos:R:3:forces:R:3 method="wB97M-V/def2-TZVPD" orbital_gap_ev=8.945 e_homo_ev=-14.83 charge=+1
C -1.4156 0.9256 -0.3994 -0.5 3.1 -1.0
C 0.8918 0.0647 0.0658 -1.6 -1.0 0.3
C -0.0947 1.1170 -0.3043 0.3 -3.0 1.2
C -2.1854 -0.2417 -0.1741 -0.9 -1.2 0.0
C 0.5455 -1.1658 0.3418 -2.7 -0.2 -0.3
C 2.3676 0.3119 0.2164 -0.7 0.6 0.6
N -1.6588 -1.3277 0.2954 4.1 1.7 -0.4
F 0.4805 2.2524 -0.4633 0.1 1.5 -0.5
F -3.4621 -0.1341 -0.4639 0.6 -0.5 0.1
F 0.9416 -2.3227 0.6181 -0.3 0.4 0.0
>>>

Islam accommodates human weaknesses and needs. It aims to create a society based on natural instincts. It sanctions re-marriage and divorce but discourages flagrant immorality and sex outside marriage. Polygamy is aprovision and not a compulsion. The Western pattern and definition of women's liberation is not the only one. If a woman is content with being a second wife why should anyone tell her she should feel otherwise? Polygamy provides a hedge for increased female population due to disasters like wars. The clause legitimizing multiple wives is in the interest of 'the other woman' as it gives her moral, social and legal rights. One man one woman relationship is merely an Anglo-Saxon concept of purity. 

The oppression of Muslim women in the sub-continent is a result of feudal-social attitudes and has nothing to do with Islam. Some of the laws in these countries are detrimental to women and need to be reviewed in the Muslim framework. Islamic jurisprudence provides the liberal and progressive basis for a moral and ajust society in recorded history. (Dehivi 1992) 

Marriage in Islam is not a temporary union and is meant to last for life. Dissolution of marriage is, however, permitted if it has irretrievably broken down. However, before actual divorce, Muslim law demands an attempt at reconciliation. The natural prevalence of monogamy as normal is more and more the practice in Muslim countries. Nevertheless, a limited polygamy is seen as a realistic need in certain circumstances, and indeed as preferable to the concealed polygamy without responsibility, in some ways tolerated in Western society. Islam is a practical religion and is meant for the guidance of human beings made of flesh and bones' (Ahmad 1974: 21-2).

Living Islam, From Samarkand to Stornoway, by Akbar S. Ahmed, Published by BBC Books Limited, Woodlands, 80 Wood Lane, London, U.K. W12 0TT©1993. This book accompanied the BBC television series "Living Islam" which was first broadcast in 1993.